

Keeping plant pests and diseases at bay: experts focus on global measures

16 March 2015, Rome - How to prevent insects, bacteria, viruses and weeds from infesting fruit, vegetable and other plant and food consignments and then spreading across the world is the focus of a four-day gathering of international experts which began at FAO today.

The annual meeting of the Commission on Phytosanitary Measures (CPM), the governing body of the International Plant Protection Convention (IPPC), brings together senior plant health specialists from the 181 member countries.

The CPM's task is, among other things, to review and establish International Standards on Phytosanitary Measures that govern how plants and plant products should be handled during movement and transport. It also endorses ways to support developing countries improve the effectiveness of their National Plant Protection Organizations.

The purpose of the standards is to minimize the risks of plant pests circulating across borders and regions in the increasingly vast context of global trade.

"A staggering $1.1 trillion worth of agricultural products are traded internationally each year, with food accounting for more than 80 per cent of the total. In this more and more globalized world, we need to increase our efforts to protect food security and the environment, and ensure safe trade from pests of plants," FAO Deputy Director General Natural Resources, Maria Helena Semedo, said.

"A failure to monitor the spread of plant pests and diseases can have disastrous consequences on agricultural production and food security for millions of poor farmers," Semedo said addressing the meeting.

"Learning from past experiences, preventions are the first line of defense against plant pests and diseases and they have also proven the most cost effective ways," she added.

Unrelated to this text: calculated crystals
┌──
## AcCo2Ge3 (PBE-GGA)

Data for an optimized crystal structure of AcCo2Ge3.

Unit cell a=8.811 b=8.811 c=8.811 alpha=60.00 beta=60.00 gamma=60.00
Fractional positions:
Ac: 0.000 0.000 0.000
Ac: 0.000 0.500 0.000
Ac: 0.500 0.000 0.000
Ac: 0.000 0.000 0.500
Co: 0.254 0.254 0.254
Co: 0.254 0.738 0.254
Co: 0.738 0.254 0.254
Co: 0.254 0.254 0.738
Co: 0.746 0.262 0.746
Co: 0.746 0.746 0.746
Co: 0.262 0.746 0.746
Co: 0.746 0.746 0.262
Ge: 0.436 0.436 0.814
Ge: 0.814 0.814 0.436
Ge: 0.814 0.436 0.436
Ge: 0.436 0.814 0.814
Ge: 0.436 0.814 0.436
Ge: 0.814 0.436 0.814
Ge: 0.564 0.186 0.186
Ge: 0.186 0.564 0.564
Ge: 0.186 0.186 0.564
Ge: 0.564 0.564 0.186
Ge: 0.564 0.186 0.564
Ge: 0.186 0.564 0.186

ΔH_f (0 K)	-0.0375	eV per atom
total magnetic moment	0.000	μB per atom
ρ	7.7	Mg/m³
V	483.69	Å³/cell
space group	No. 227
E_tot	-129.59	eV/cell
└──
The text goes on

FAO estimates that between 20 and 40 percent of global crop yields are reduced each year due to the damage wrought by plant pests and diseases.

Getting the packing right

"Once a pest becomes established, it is almost impossible to eradicate and is expensive to manage," said IPPC Coordinator, Craig Fedchock.

Critical to this is the material used to transport plants and other agricultural products to ensure that it does not provide a place for pests to fester.

"Had more been known about the risks associated with solid wood packaging material 35 years ago, millions of dollars could have been saved through a simple inexpensive heat treatment of wooden pallets before their use in international trade," Fedchock said.

He cited the Asian long-horned beetle, which is believed to have spread from Asia to the United States, as well as Canada, Trinidad, and several countries in Europe in untreated solid wood packaging material. The beetles or their larvae feed on leaves, twigs, and barks causing the death of many trees.

Fedchock also noted how in an attempt to eradicate pinewood nematode, the Republic of Korea over the last three decades has spent some $400 million dollars and plans to spend an additional $45 million more in 2015, and in a related measure, has also cut down some 3.5 million trees in recent years. The pinewood nematode, a roundworm that causes pine wilt disease, is thought to have originated from North America, possibly on untreated wood pallets, and introduced elsewhere through trade.

ePhyto - pest control certificates for the digital age

This year's CPM meeting which lasts until Friday, 20 March, is set to deal with the topic of electronic phytosanitary certification, or ePhyto, with participants  discussing and possibly approving the establishment of an ePhyto online hub. This could facilitate the exchange of millions of ePhytos per year resulting in increased efficiencies in port operations, and a reduction in the costs, including environmental, associated with printing and shipping paper certificates.

Also slated during the four-day meeting is a series of side sessions convering topics such as new pest diagnostic technologies.

Egypt Wearther